This ramble has nothing to do with skincare, and everything to do with the brains, heart, grit and soul of being a creative entrepreneur who is deeply committed to being the change I want to see in the world. It is more journal entry than anything.
This post is about my an all-time favorite musician, alongside Pink Floyd, an artist deeply embedded in the sound story of a life thoroughly lived, through a gazillion miles, years of grind + hope, so many dance parties, so many sad days. And until last night, the man had no clue I existed: Mr. Wyclef Jean.

Started listening to Wyclef a few years after learning English. We moved to America when my parents were in their early thirties, 3 kids in tow, not a penny to their name. They worked 7 days a week, 12-15 hour days, doing all the jobs, all the side-hustles. Chasing the American dream.
At that time, we lived in Fontana. The 909 in the 90’s. It’s still a bit gritty there, but nothing like it was then. I’m thankful for what those streets ended up rooting in me, latch-key gen-x, but it was not a light and fluffy existence, to say the least. If you know that area, at that time, you know. But we had great music. I’d pull into FOHI in my 1974 VW Bug with a crappy stereo system, blasting Fugees, Pink Floyd, Korn, Biggie, NWA, Sage Francis, Fugazi, Primus. Sublime was still at some of the skater garage parties. Mazzy Star and Courtney Love were playing at The Copasetic Cafe.

Wyclef Jean’s music is an automatic memory-reel for me. Those early years, then through my twenties when I was kayaking around the world, living in a school bus in the 707, or working on the S. Fork of The American then moving to Montana. Sunny post-river days, anxiety riddled Saturn returns , the grime of 909 fading into a patina. I’m white-skinned, and am so aware it was easier for me to leave the hood and re-create an entire existence because of it. I lost my immigrant accent, and after a few years out of San Bernadino, my street slang was more and more veiled. I spoke more like a moonchild riverat than a hoodrat, although it was all weaved together in the deep soul.
Later, as I started businesses, moved a bunch of times, fell in love, broke-up, kept sucking the marrow from life, Wyclef 's beats were always there. In my 20+ years as an esthetician, thousands of bikini waxes have been done with Wyclef in the playlist! My taste in music expanded through globe-trotting, and I began to appreciate even more the collabs he did. I got more involved with impoverished regions of the world which deepened the admiration for his political activism and the inspiration I drew from it.
Hip-Hop has always been the beat my soul gravitates to most, followed by singer-songwriter vibe. So when a hip-hop artist brings in actual instruments, guitars, saxophone, whatever, I swoon. I feel it all the way. I get down.

In my late-twenties, after nearly a decade chasing whitewater and being in some, umm, turbulent situations, I had both a back injury and an ear injury. My back took a year to heal. My ear never healed on it’s own, and from 28-39, I only had about 20% of my hearing. During that time, I didn’t have a full connection to music because I couldn’t hear much, but I could always hear/feel a good base hip-hop beat.
A couple years ago, the miracle of modern medicine was able to create an ear drum out of a tiny piece of skin from my arm. I now have super-human hearing and am brought to tears when I hear a good beat, production just right. When a saxophone wails, my entire being is enthralled. When a guitar string is plucked right, my soul flutters.
I am finding myself more and more around music, musicians. I crave it, seek it, celebrate and support it. With Skin and Sky, I chose to bypass social media marketing campaigns and instead, our small marketing budget goes directly to helping out artists. We’ve done everything from paying someone’s rent for a few months while they work on their music to supporting and sponsoring events in California and Montana like SheRocks, Jams with Laurel Canyon Music Room, Northern Hospitality Toronto Showcase, Jazz Ecelectic at Sofitel, etc.

Data records that have nothing to do with the entry:
Compound: Tm3AgAu2
Source: Alexandria via LeMat-Bulk
Functional: PBE-GGA
Structure: optimized geometry

Calculated values
ΔH_f (0 K) (eV/f.u.): -4.3
DOS at the Fermi energy (states/eV/f.u.): 1.86

Lattice parameters (Å, degrees): 3.5452 3.5452 10.7783 90.00 90.00 90.00
Element x y z (fractional)
Tm 0.0000 0.0000 0.0000
Tm 0.0000 0.0000 0.3291
Tm 0.0000 0.0000 0.6709
Ag 0.5000 0.5000 0.5000
Au 0.5000 0.5000 0.1678
Au 0.5000 0.5000 0.8322

***

Compound: Tm7Ag2Au2
Source: Alexandria via LeMat-Bulk
Functional: PBE-GGA
Structure: optimized geometry

Calculated values
ΔH_f (0 K) (eV/f.u.): -2.3
DOS at the Fermi energy (states/eV/f.u.): 11.81

Lattice parameters (Å, degrees): 6.6018 6.6018 7.3656 90.00 90.00 108.89
Element x y z (fractional)
Tm 0.0000 0.0000 0.0000
Tm 0.0000 0.5000 0.2753
Tm 0.0000 0.5000 0.7247
Tm 0.5000 0.0000 0.2753
Tm 0.5000 0.0000 0.7247
Tm 0.5000 0.5000 0.2613
Tm 0.5000 0.5000 0.7387
Ag 0.1820 0.1820 0.5000
Ag 0.8180 0.8180 0.5000
Au 0.2897 0.7103 0.0000
Au 0.7103 0.2897 0.0000

***

Compound: Tm2AgAu2
Source: Alexandria via LeMat-Bulk
Functional: PBE-GGA
Structure: optimized geometry

Calculated values
ΔH_f (0 K) (eV/f.u.): -3.5
DOS at the Fermi energy (states/eV/f.u.): 3.13
ΔE to the lowest computed polymorph (meV per atom): 0

Lattice parameters (Å, degrees): 7.8519 7.8519 3.6419 90.00 90.00 90.00
Element x y z (fractional)
Tm 0.1677 0.3323 0.0000
Tm 0.3323 0.8323 0.0000
Tm 0.6677 0.1677 0.0000
Tm 0.8323 0.6677 0.0000
Ag 0.0000 0.0000 0.5000
Ag 0.5000 0.5000 0.5000
Au 0.1318 0.6318 0.5000
Au 0.3682 0.1318 0.5000
Au 0.6318 0.8682 0.5000
Au 0.8682 0.3682 0.5000

***

Q: What is the formula in the first record?
A: Tm3AgAu2

***

Q: Which formula does entry 3 have?
A: Tm2AgAu2
The data records stop here:

We help with production for videos and photoshoots, we hire musicians to fill samples and for random odd-jobs that pay some bills…we’ve even had several musicians crash in our headquarters in between gigs. We do as much as we can. We definitely make sure their skin is luminous and resilient, support the soul + swagger. There’s a selfish reason for it: it keeps the vibes + beats alive and I get to be around it! I’m actually credited and appear in a few videos with MoeCheez and Nyzzy Nyce, am obsessed with Tiara Monet and have gotten to work with her on a few visions still evolving, co-wrote a song with HoneyCane, can't get enough of Vicky O'neon and just helped with production on video for #GiveMeTime with Emoney! Each time I get to be behind a scene of something, it nourishes my entire soul, and feels totally cool-kid!
(We sponsored one event with HollywoodLive/Rockin' with Stars and would never work with them again. They were unethical, super unprofessional and really lame to work with, which is a shame because that $2500 could've gone to something really worthy. Totally throwing some well-deserved shade...)

Anyways....I often share songs I’m listening to in SSB or my personal Instagram. When something is making me feel really good, I can’t help but share. I’ve shared a lot of Mr. Jean’s beats. I do have several public playlists (and think they're worthy!)
I’ve been using the hashtag #THANKGODFORTHECULTURE for awhile now, and I know most people didn’t know exactly what it referred to. There’s a song for that, and a story that speaks to my world. I came up with our main hashtag, #SKYKISSED, while listening to Wyclef’s version of Kiss The Sky, en route to Detroit!
Well, last night, the man not only reposted, but took a second to DM me to say thanks and have a quick back-and-forth while I had a total fan moment!
Seriously, tho’.
When I told a couple of my dearest musician peeps the story this morning, the badass D.O. Gibson and beat-dropper Oso Cali shared pics of times they’d worked with or met Wyclef, and all said what a rad dude he is in person. Talk about doing right by your place in life.
In a world of d-bags, be a 'Clef...That's one of my new sayings.
ON A WYCLEF ROLL playlist was on repeat today.
All Wyclef Jean. Not in any specific order. My favorites. Press Play and every now and then, get up and #getdown. If a song isn’t your particular vibe, skip it. I know there’s at least a few in there you’ll like. I mean, what other artist has collabs and covers across all the genres? From Paul Simon to Prince to Ms. Whitney Houston to Queen to Diddy…. To freakin' Kenny Rogers! Make this playlist part of your weekend vibes!
Cheers to an #artledeconomy and the #creativegrind. To #BeautyArtPartnerships, #PeoplePlacePlanetPartnerships. #makeitworthy #haveeachothersbacks and be part of a #mutualgroupiesociety! Yes, I have a lot of hashtags, cuz I love them, and many have been inspired by, or right-out taken from a lyric in a hip-hop song! #fortheloveofhiphop
Be #SkyKissed. #ProtectYourStrut. #SwaggerOn. You're an #IntelligentBadassBeauty. (Ha! Almost a full run-on sentence of hashtags.)

p.s. Mr. Jean, if you happen to read this, Cheers to you. Seriously. Thank you. May all the good forces be with you and yours. (and, umm, we have really great lotion. Like, the best. My art is lotion. Would love to send you some.)